(Brief)
The reader should print the listing below from the first line to the one with "-3.225 1.046" word for word.
(Input)
********
Entry from OMol25: 2 unconnected molecules or ions with the total composition C4H9N3O2 at a distorted geometry (ωB97M-V/def2-TZVPD).

Element x y z (Å)
O -1.052 2.605 0.015
O -2.459 -2.166 -0.848
N -2.946 1.175 -0.116
N -0.796 0.291 -0.089
N -1.656 -2.941 -0.385
C 1.172 0.796 1.304
C 0.460 0.048 0.332
C 1.033 -1.218 -0.313
C -1.597 1.517 -0.042
H -3.669 1.762 -0.381
H 0.552 0.911 2.204
H -1.260 -0.564 -0.508
H 2.174 0.440 1.471
H -3.015 0.231 -0.096
H 0.318 -1.654 -0.962
H 1.307 -1.947 0.430
H 1.260 1.867 1.146
H 1.975 -0.908 -0.692

Properties
* relative energy (zero: lowest compared OMol25 entry of this formula, charge and spin): 470.39 kJ/mol
* net charge: 0
* gap between HOMO and LUMO (spin up / spin down): 4.4 / 8.4 eV
* E_tot: -472.41446 a.u.
* HOMO level (spin up / spin down): -0.2043 / -0.3709 Eh
* M: 131.1 g mol⁻¹

***

Entry from OMol25: 2 unconnected molecules or ions with the total composition C7H11N2O2P at a distorted geometry (ωB97M-V/def2-TZVPD).

Element x y z (Å)
P -0.741 -1.190 -1.710
O -1.954 -1.837 -1.213
O 3.050 -1.365 0.147
N 0.462 -1.728 -2.523
N -0.748 0.433 -1.716
C -1.772 1.234 -1.104
C 1.934 -0.756 0.607
C 2.105 0.487 1.209
C 0.661 -1.331 0.554
C -0.408 -0.674 1.148
C -0.230 0.560 1.751
C 1.029 1.138 1.777
H 0.343 -2.723 -2.635
H -1.377 -1.145 1.159
H 0.537 -2.341 0.184
H 1.184 2.094 2.255
H -1.370 1.856 -0.299
H 2.810 -2.151 -0.362
H -1.065 1.062 2.213
H 3.098 0.905 1.245
H -2.261 1.877 -1.838
H 0.070 0.868 -2.103
H -2.512 0.548 -0.695

Properties
* relative energy (zero: lowest compared OMol25 entry of this formula, charge and spin): 0.00 kJ/mol
* net charge: 0
* gap between HOMO and LUMO: 9.5 eV
* E_tot: -874.71308 a.u.
* HOMO level: -0.3259 Eh
* M: 186.2 g mol⁻¹

***

Entry from OMol25: a molecular structure, C8H4F5IrN2O3Se3Te2 (ωB97M-V/def2-TZVPD).

Element x y z (Å)
Ir -0.925 1.167 -0.624
Te -4.308 -2.631 0.912
Te -2.262 -3.505 -1.024
Se 0.850 2.799 -0.988
Se -5.475 -1.260 -0.516
Se -2.980 -2.029 -2.679
F 1.389 -1.709 -0.263
F 3.847 -1.540 -2.016
F 4.430 -0.677 0.801
F 2.189 0.651 -3.135
F 2.493 1.419 1.549
O -2.905 -1.324 2.013
O -2.142 -0.330 0.183
O -1.584 1.249 -3.390
N -0.515 1.313 1.459
N -1.356 1.182 -2.291
C -2.220 -0.439 1.433
C 3.348 -0.494 -1.391
C -1.459 0.536 2.302
C 2.117 1.382 -0.807
C 2.581 0.480 -1.882
C 2.659 0.928 0.326
C 2.116 -1.232 0.722
C 3.296 -0.424 0.112
H -0.504 2.297 1.717
H 0.440 0.989 1.615
H -2.182 1.203 2.769
H -0.939 -0.001 3.092

Properties
* relative energy (zero: lowest compared OMol25 entry of this formula, charge and spin): 475.68 kJ/mol
* net charge: +1
* gap between HOMO and LUMO (spin up / spin down): 7.0 / 6.3 eV
* E_tot: -8986.03020 a.u.
* HOMO level (spin up / spin down): -0.4334 / -0.4366 Eh
* ⟨S²⟩: 0.76
* M: 955.4 g mol⁻¹
* spin multiplicity: 2

***

Entry from OMol25: a molecular structure, C23H22N6O5Sr at a distorted geometry (ωB97M-V/def2-TZVPD).

Element x y z (Å)
Sr 0.108 -0.478 0.276
O 2.145 0.428 0.235
O -0.511 -0.671 2.246
O 0.663 0.278 3.900
O -0.489 1.584 0.900
O -0.960 -2.302 -0.876
N -2.650 2.473 -0.645
N -0.123 -0.056 -2.086
N 4.914 -1.474 3.486
N 3.037 0.217 1.123
N 1.424 -2.513 0.666
N -2.994 1.111 -0.369
C 2.326 4.665 3.702
C -0.322 -2.458 -2.134
C -0.328 -1.127 -2.849
C 2.219 -1.974 1.308
C 2.368 4.223 2.389
C 3.117 -0.954 1.722
C -2.399 3.354 2.656
C -2.844 1.044 3.116
C 0.476 2.789 2.796
C -0.105 1.148 -2.653
C 1.446 3.288 1.937
C -0.518 -1.031 -4.220
C -0.302 1.340 -4.009
C 0.445 3.228 4.118
C -0.502 1.727 2.341
C -4.625 2.659 3.248
C 1.362 4.163 4.565
C -4.177 1.351 3.361
C -1.940 2.041 2.754
C -0.052 0.317 2.915
C -0.508 0.224 -4.808
C -3.729 3.660 2.900
C 4.110 -1.201 2.711
H -2.288 2.507 -1.589
H -3.225 1.046 0.616
H -0.734 -3.059 -0.317
H -3.797 0.800 -0.903
H -4.862 0.563 3.645
H -4.065 4.687 2.830
H -0.832 -3.205 -2.747
H -0.285 2.334 -4.435
H 1.331 4.497 5.594
H -1.708 4.146 2.392
H -2.499 0.023 3.208
H 3.128 4.599 1.717
H -3.450 3.095 -0.594
H 1.499 2.929 0.919
H -0.683 -1.924 -4.809
H -0.296 2.822 4.794
********
(Solution)
Entry from OMol25: 2 unconnected molecules or ions with the total composition C4H9N3O2 at a distorted geometry (ωB97M-V/def2-TZVPD).

Element x y z (Å)
O -1.052 2.605 0.015
O -2.459 -2.166 -0.848
N -2.946 1.175 -0.116
N -0.796 0.291 -0.089
N -1.656 -2.941 -0.385
C 1.172 0.796 1.304
C 0.460 0.048 0.332
C 1.033 -1.218 -0.313
C -1.597 1.517 -0.042
H -3.669 1.762 -0.381
H 0.552 0.911 2.204
H -1.260 -0.564 -0.508
H 2.174 0.440 1.471
H -3.015 0.231 -0.096
H 0.318 -1.654 -0.962
H 1.307 -1.947 0.430
H 1.260 1.867 1.146
H 1.975 -0.908 -0.692

Properties
* relative energy (zero: lowest compared OMol25 entry of this formula, charge and spin): 470.39 kJ/mol
* net charge: 0
* gap between HOMO and LUMO (spin up / spin down): 4.4 / 8.4 eV
* E_tot: -472.41446 a.u.
* HOMO level (spin up / spin down): -0.2043 / -0.3709 Eh
* M: 131.1 g mol⁻¹

***

Entry from OMol25: 2 unconnected molecules or ions with the total composition C7H11N2O2P at a distorted geometry (ωB97M-V/def2-TZVPD).

Element x y z (Å)
P -0.741 -1.190 -1.710
O -1.954 -1.837 -1.213
O 3.050 -1.365 0.147
N 0.462 -1.728 -2.523
N -0.748 0.433 -1.716
C -1.772 1.234 -1.104
C 1.934 -0.756 0.607
C 2.105 0.487 1.209
C 0.661 -1.331 0.554
C -0.408 -0.674 1.148
C -0.230 0.560 1.751
C 1.029 1.138 1.777
H 0.343 -2.723 -2.635
H -1.377 -1.145 1.159
H 0.537 -2.341 0.184
H 1.184 2.094 2.255
H -1.370 1.856 -0.299
H 2.810 -2.151 -0.362
H -1.065 1.062 2.213
H 3.098 0.905 1.245
H -2.261 1.877 -1.838
H 0.070 0.868 -2.103
H -2.512 0.548 -0.695

Properties
* relative energy (zero: lowest compared OMol25 entry of this formula, charge and spin): 0.00 kJ/mol
* net charge: 0
* gap between HOMO and LUMO: 9.5 eV
* E_tot: -874.71308 a.u.
* HOMO level: -0.3259 Eh
* M: 186.2 g mol⁻¹

***

Entry from OMol25: a molecular structure, C8H4F5IrN2O3Se3Te2 (ωB97M-V/def2-TZVPD).

Element x y z (Å)
Ir -0.925 1.167 -0.624
Te -4.308 -2.631 0.912
Te -2.262 -3.505 -1.024
Se 0.850 2.799 -0.988
Se -5.475 -1.260 -0.516
Se -2.980 -2.029 -2.679
F 1.389 -1.709 -0.263
F 3.847 -1.540 -2.016
F 4.430 -0.677 0.801
F 2.189 0.651 -3.135
F 2.493 1.419 1.549
O -2.905 -1.324 2.013
O -2.142 -0.330 0.183
O -1.584 1.249 -3.390
N -0.515 1.313 1.459
N -1.356 1.182 -2.291
C -2.220 -0.439 1.433
C 3.348 -0.494 -1.391
C -1.459 0.536 2.302
C 2.117 1.382 -0.807
C 2.581 0.480 -1.882
C 2.659 0.928 0.326
C 2.116 -1.232 0.722
C 3.296 -0.424 0.112
H -0.504 2.297 1.717
H 0.440 0.989 1.615
H -2.182 1.203 2.769
H -0.939 -0.001 3.092

Properties
* relative energy (zero: lowest compared OMol25 entry of this formula, charge and spin): 475.68 kJ/mol
* net charge: +1
* gap between HOMO and LUMO (spin up / spin down): 7.0 / 6.3 eV
* E_tot: -8986.03020 a.u.
* HOMO level (spin up / spin down): -0.4334 / -0.4366 Eh
* ⟨S²⟩: 0.76
* M: 955.4 g mol⁻¹
* spin multiplicity: 2

***

Entry from OMol25: a molecular structure, C23H22N6O5Sr at a distorted geometry (ωB97M-V/def2-TZVPD).

Element x y z (Å)
Sr 0.108 -0.478 0.276
O 2.145 0.428 0.235
O -0.511 -0.671 2.246
O 0.663 0.278 3.900
O -0.489 1.584 0.900
O -0.960 -2.302 -0.876
N -2.650 2.473 -0.645
N -0.123 -0.056 -2.086
N 4.914 -1.474 3.486
N 3.037 0.217 1.123
N 1.424 -2.513 0.666
N -2.994 1.111 -0.369
C 2.326 4.665 3.702
C -0.322 -2.458 -2.134
C -0.328 -1.127 -2.849
C 2.219 -1.974 1.308
C 2.368 4.223 2.389
C 3.117 -0.954 1.722
C -2.399 3.354 2.656
C -2.844 1.044 3.116
C 0.476 2.789 2.796
C -0.105 1.148 -2.653
C 1.446 3.288 1.937
C -0.518 -1.031 -4.220
C -0.302 1.340 -4.009
C 0.445 3.228 4.118
C -0.502 1.727 2.341
C -4.625 2.659 3.248
C 1.362 4.163 4.565
C -4.177 1.351 3.361
C -1.940 2.041 2.754
C -0.052 0.317 2.915
C -0.508 0.224 -4.808
C -3.729 3.660 2.900
C 4.110 -1.201 2.711
H -2.288 2.507 -1.589
H -3.225 1.046 0.616